We want to teach our students real-life skills, don’t we? It sure is nice to read Shakespeare and discuss metaphors, but it is not what our ESL/EFL/EIL (or whatever you call it) students need. They need to practice their speaking skills in a way which resembles real-life situations as closely…
Category: Worksheets

ESL Reported Speech Speaking Activity: Gossip
This is a fun ESL/EFL reported speech speaking activity which I like to throw in when the students start to feel tired and bored by the theory and dull practice exercises. It is a great activity to energize them while practising reported speech in the most natural way – gossiping….

ESL Video Lesson Plan: Stand Up Comedy With Shayne Smith And The Prisoner of Azkaban
STANDUP VIDEO LESSON PLAN WARM-UP QUESTIONS What do you think about people who have a lot of tattoos? Do you have any tattoos? If not what tattoo would you like to have? What do you think about body modifications? (piercing, implants, scarification) Have you ever got looks from strangers because…

Materials data that have nothing to do with the piece:
~~~
No. 1
Theoretical powder diffractogram
Compound: ScGa5Ni
Radiation: λ = 1.5418 Å (Cu Kα)
Structure: DFT lattice parameters and positions (GGA-PBE)
Intensities are scaled so that the largest is 100.

Top 10 peaks for 15 to 90 degrees two-theta, sorted by position:
| two_theta | intensity | (hkl) |
| --- | --- | --- |
| 25.1 | 18 | 1 0 1 |
| 33.2 | 21 | 1 1 1 |
| 40.3 | 13 | 0 0 3 |
| 40.7 | 100 | 1 1 2 |
| 43.4 | 54 | 2 0 0 |
| 51.2 | 10 | 1 1 3 |
| 60.7 | 15 | 2 0 3 |
| 63.1 | 17 | 2 2 0 |
| 77.8 | 27 | 3 1 2 |
| 78.2 | 9 | 1 1 5 |

Atomic structure:
Unit cell a=4.1693 b=4.1693 c=6.7183 alpha=90.00 beta=90.00 gamma=90.00
Space group P4/mmm (No. 123)
Asymmetric unit:
1 Sc 0.0000 0.0000 0.0000 x1
2 Ga 0.0000 0.5000 0.3009 x4
3 Ga 0.5000 0.5000 0.0000 x1
4 Ni 0.0000 0.0000 0.5000 x1

=====

No. 2
Theoretical powder diffractogram
Compound: GaSiNi6
Radiation: λ = 1.5418 Å (Cu Kα)
Structure: DFT lattice parameters and positions (GGA-PBE)
Intensities are scaled so that the largest is 100.

Top 10 peaks for 15 to 90 degrees two-theta, sorted by position:
| two_theta | intensity | (hkl) |
| --- | --- | --- |
| 28.2 | 3 | 1 0 1 |
| 36.0 | 1 | 1 1 0 |
| 38.2 | 2 | 1 1 1 |
| 38.3 | 1 | 0 0 3 |
| 44.4 | 100 | 1 1 2 |
| 51.7 | 31 | 2 0 0 |
| 51.9 | 15 | 0 0 4 |
| 76.1 | 9 | 2 2 0 |
| 76.3 | 18 | 2 0 4 |
| 77.8 | 1 | 1 1 5 |

Atomic structure:
Unit cell a=3.5374 b=3.5374 c=7.0437 alpha=90.00 beta=90.00 gamma=90.00
Space group P4/mmm (No. 123)
Asymmetric unit:
1 Ga 0.0000 0.0000 0.0000 x1
2 Si 0.0000 0.0000 0.5000 x1
3 Ni 0.0000 0.5000 0.2589 x4
4 Ni 0.5000 0.5000 0.0000 x1
5 Ni 0.5000 0.5000 0.5000 x1

=====

No. 3
Theoretical powder diffractogram
Compound: Sm3Ga2Ni6
Radiation: λ = 1.5418 Å (Cu Kα)
Structure: DFT lattice parameters and positions (GGA-PBE)
Intensities are scaled so that the largest is 100.

Top 10 peaks for 15 to 90 degrees two-theta, sorted by position:
| two_theta | intensity | (hkl) |
| --- | --- | --- |
| 24.3 | 17 | 2 1 1 |
| 31.5 | 35 | 3 1 0 |
| 34.6 | 44 | 2 2 2 |
| 37.5 | 27 | 3 2 1 |
| 40.2 | 27 | 4 0 0 |
| 42.7 | 100 | 3 3 0 |
| 56.1 | 17 | 5 2 1 |
| 63.9 | 17 | 5 3 2 |
| 69.5 | 21 | 6 2 2 |
| 78.3 | 26 | 6 3 3 |

Atomic structure:
Unit cell a=8.9763 b=8.9763 c=8.9763 alpha=90.00 beta=90.00 gamma=90.00
Space group Im-3m (No. 229)
Asymmetric unit:
1 Sm 0.0000 0.0000 0.2892 x12
2 Ga 0.2500 0.2500 0.2500 x8
3 Ni 0.0000 0.3374 0.3374 x24

=====

No. 4
Theoretical powder diffractogram
Compound: SmGa2Ni
Radiation: λ = 1.5418 Å (Cu Kα)
Structure: DFT lattice parameters and positions (GGA-PBE)
Intensities are scaled so that the largest is 100.

Top 10 peaks for 15 to 90 degrees two-theta, sorted by position:
| two_theta | intensity | (hkl) |
| --- | --- | --- |
| 26.4 | 15 | 1 3 0 |
| 29.8 | 29 | 0 4 1 |
| 30.9 | 20 | 1 1 1 |
| 34.3 | 100 | 1 3 1 |
| 37.9 | 16 | 0 6 1 |
| 42.3 | 37 | 1 7 0 |
| 43.6 | 27 | 2 0 0 |
| 43.8 | 27 | 0 0 2 |
| 62.5 | 23 | 1 7 2 |
| 63.5 | 17 | 2 0 2 |

Atomic structure:
~~~

TEDtalk Video ESL Lesson Plan: What Makes Something Go Viral
ESL lesson plan based on TEDtalk: What makes something go viral. It deals with the Internet, social media and technology. And BuzzFeed.

TED Talk ESL Video Lesson Plan: How To Grow New Brain Cells.
This TedTalk ESL video lesson is based on a talk by Sandrine Thuret. In her talk she is asking two questions: How can we help our healthy brains create new nerve cells throughout our lives, through diet and behavior changes? How can we study the effects of diseases such as…

ESL Picture Storytelling Activity
ESL picture storytelling activity Level: Pre-Intermediate, Intermediate, Upper-Intermediate Time: 5-15min. Skills: speaking Topic: travel, environment, stories, relationships, art Download the PDF here. This storytelling activity is suitable for various levels because students create their own stories using the vocabulary and grammar they feel comfortable using. At the same time, they can show…

I’ve Told You Once, I’ve Told You a Thousand Times, Resist Hyperbole.
A little activity using funny grammar rules.

ESL Game Compound Nouns Dominoes: Town and Countryside
Vocabulary activity game. Download the game here: Compound nouns dominoes Places Other vocabulary resources: Travel/Holiday Vocabulary Cards Useful Classroom Tip: Vocabulary Revision Business English Vocabulary Card Game | Forbidden Words Media/Entertainment Vocabulary Card Game Based on Taboo.

Here the page breaks off for calculated crystals
- - -
Structure and computed X-ray powder pattern of TbZn3Au3 (a cell relaxed with GGA-PBE; Cu Ka).
Peak positions follow from Bragg's law for the DFT cell and can differ from measured ones.

Cell: 7.4503 7.4503 7.4503 Å, 56.43 56.43 56.43°
Positions (direct):
Tb: 0.1614 0.1614 0.1614
Tb: 0.8386 0.8386 0.8386
Zn: 0.0451 0.2275 0.6043
Zn: 0.2275 0.6043 0.0451
Zn: 0.3957 0.9549 0.7725
Zn: 0.6043 0.0451 0.2275
Zn: 0.7725 0.3957 0.9549
Zn: 0.9549 0.7725 0.3957
Au: 0.1924 0.4281 0.6759
Au: 0.3241 0.8076 0.5719
Au: 0.4281 0.6759 0.1924
Au: 0.5719 0.3241 0.8076
Au: 0.6759 0.1924 0.4281
Au: 0.8076 0.5719 0.3241

Largest 10 diffraction maxima, in order of rising 2θ, 2θ = 10–90°:
2theta	I_rel
14.19	26
29.11	95
36.68	38
38.54	100
39.37	79
40.28	81
43.76	48
44.55	23
46.23	29
50.98	40

Structure and computed X-ray powder pattern of Nd2SmAs3Rh4 (a cell relaxed with GGA-PBE; Cu Ka).
Peak positions follow from Bragg's law for the DFT cell and can differ from measured ones.

Cell: 4.1642 4.1642 11.4791 Å, 90.00 90.00 90.00°
Positions (direct):
Nd: 0.0000 0.5000 0.2225
Nd: 0.5000 0.0000 0.7775
Sm: 0.0000 0.0000 0.5000
As: 0.0000 0.5000 0.8734
As: 0.5000 0.0000 0.1266
As: 0.5000 0.5000 0.5000
Rh: 0.0000 0.0000 0.0000
Rh: 0.0000 0.5000 0.6622
Rh: 0.5000 0.0000 0.3378
Rh: 0.5000 0.5000 0.0000

Largest 10 diffraction maxima, in order of rising 2θ, 2θ = 10–90°:
2theta	I_rel
31.76	27
34.23	100
38.08	14
43.46	47
44.06	18
45.09	18
54.82	12
63.15	15
64.42	12
73.83	21

~~~~~

YCo3F15: theoretical powder X-ray diffraction pattern (λ = 1.5418 Å (Cu Kα)), based on a DFT-relaxed cell (PBE+U, the Materials Project).
No peak broadening, texture or thermal motion is included.

Main lines, sorted by position (5 to 70 degrees two-theta):
| index | 2θ/deg | d [Å] | I/Imax |
| --- | --- | --- | --- |
| 0 1 1 | 12.51 | 7.073 | 26.6 |
| 0 2 0 | 15.41 | 5.751 | 17.5 |
| 1 0 -1 | 16.22 | 5.465 | 11.0 |
| 1 2 -1 | 22.44 | 3.961 | 100.0 |
| 0 2 2 | 25.20 | 3.533 | 10.3 |
| 1 1 2 | 30.22 | 2.957 | 8.5 |
| 1 2 2 | 33.16 | 2.702 | 9.1 |
| 1 4 -3 | 43.35 | 2.087 | 10.2 |
| 2 4 -2 | 45.81 | 1.981 | 15.2 |
| 1 6 -1 | 50.42 | 1.810 | 11.1 |

Structure:
Cell lengths 5.758, 11.501, 9.391 Å; angles 90.00, 107.22, 90.00 degrees
Space group P2_1/m (No. 11)
Unique sites:
1 Y 0.215 0.250 0.243 x2
2 Co 0.000 0.000 0.500 x2
3 Co 0.320 0.511 0.847 x4
4 F 0.011 0.114 0.328 x4
5 F 0.038 0.750 0.953 x2
6 F 0.077 0.063 0.879 x4
7 F 0.201 0.591 0.452 x4
8 F 0.255 0.068 0.642 x4
9 F 0.409 0.750 0.300 x2
10 F 0.420 0.588 0.047 x4
11 F 0.464 0.250 0.545 x2
12 F 0.490 0.120 0.223 x4

~~~~~

Structure and theoretical powder X-ray diffraction pattern of Er2WO6 (DFT lattice parameters and positions (PBE+U); Cu Kα (weighted mean of Kα1 and Kα2)).

Largest 10 diffraction maxima, low angle first, 2θ from 15° to 90°:
- 25.93°, intensity 36, (1 2 0)
- 26.60°, intensity 65, (1 1 2)
- 27.47°, intensity 100, (1 2 1)
- 28.70°, intensity 22, (0 1 3)
- 30.81°, intensity 27, (0 3 1)
- - -

ESL Pair Work Activity: Teenager Issues
This speaking activity deals with the everyday teenager issues. Warm-up (10-15m) Put the students in pairs and let them brainstorm the problems and conflicts young people might have. When they are finished, put them into groups of four and let them discuss the problems in more detail. What causes these problems? What…

ESL Speaking Activity Worksheet: Business Plan
My students loved this speaking activity. It is fun, it is competitive and it kept the students engaged for a loooong time. It is easy to use, just print the worksheet and you are ready to go. Download the FREE PDF Worksheet>>>>>>Business Plan Worksheet Try also some other activities and…